This thesis investigates the temporal and semantic alignment between verbal language and hand gestures. The two forms of alignment are considered as two fundamental components in the process of joint interpretation of speech and gestures. Regarding temporal alignment, the main hypothesis is that prosodic cues (together with other linguistic parameters such as constituency) guide the first step of the joint interpretation of language and gestures, determining the restricted set of verbal items to which the gesture is related. The alignment is assumed to be determined by quasi-simultaneous peaks in the contours of prosody (considered as a combination of pitch, rhythm and amplitude) and hand activity (roughly the quantity of observable kinetic activity). The hypothesis is tested with two experiments. The first experiment measures the subjects' sensitivity to the temporal alignment (or absence thereof) between speech and gesture. The second experiment is designed to isolate the effect of prosodic cues on the successful integration of the two communicative channels. The results of the experiments support the hypothesis that prosodic contour is the main component in the determination of the 'point of attachment' of gestures in the linguistic structures they accompany. The alignment between the meaning conveyed by verbal language and gestures is reconstructed on the base of a formal theory of meaning. The analysis is restricted to the class of iconic gestures, and in particular to those used to represent spatio-temporal properties or events. The meaning of gestures is taken to correspond to a function that monotonically restricts the meaning of the accompanying verbal expression. The restriction takes the form of an intersection between the spatio-temporal extensional reference of the verbal component and the class of spatio-temporal structures that are iconically equivalent to the virtual space described by the gesture. Iconic equivalence is defined as that relation that holds between two spatial structures that present a similar set of spatial features. This relation is formally defined in the thesis as a logical language that allows the description of different levels of 'similarity' between spatial structures, corresponding to the different modes of representation observed in gestures. The thesis describes the use of the theory for the design and implementation of a computational prototype capable of producing verbal and gestural descriptions of simple physical scenes. With the help of the prototype two experiments have been developed, aimed at testing the validity of the hypothesis regarding the semantic alignment between speech and gestures. The first experiment measures the extent to which the specific form of iconicity proposed in the thesis captures the modes of representation observable in natural gestures. The second experiment tests instead some specific predictions of the theory, connected to the combinatorial properties of the two communicative channels. In both cases the experimental results corroborates the proposed analysis.
Original language | Undefined/Unknown |
The following is a calculated powder XRD pattern of Tb6HoPd3. It was derived from a cell relaxed with GGA-PBE, using Cu Ka.
Neutral-atom scattering factors, no anomalous dispersion.

Cell and atoms:
Cell: 11.4790 13.2276 7.2108 Å, 90.00 90.00 90.00°
Space group Cmc2_1 (No. 36)
Symmetry-distinct sites (fractional):
Tb 0.0000 0.0364 0.0000 x4
Tb 0.0000 0.2309 0.3629 x4
Tb 0.1690 0.4605 0.5118 x8
Tb 0.2268 0.1942 0.6668 x8
Ho 0.0000 0.3208 0.8821 x4
Pd 0.0000 0.4245 0.2168 x4
Pd 0.1872 0.0999 0.2984 x8

Most intense lines, 2θ = 15–90°, by angle:
2θ 29.25, rel. 40, (2 0 2); 2θ 29.72, rel. 69, (0 4 1); 2θ 30.94, rel. 54, (3 3 0); 2θ 31.17, rel. 37, (4 0 0); 2θ 32.30, rel. 62, (2 2 2); 2θ 33.40, rel. 51, (3 3 1); 2θ 33.66, rel. 85, (2 4 1); 2θ 34.86, rel. 100, (3 1 2); 2θ 39.91, rel. 40, (0 2 3); 2θ 57.10, rel. 41, (0 8 1)

----------

Record 1
This entry pairs a crystal structure of Ca2Mg2Al15 with its theoretical powder XRD pattern. Radiation: Cu Ka. Structure: the PBE geometry in Alexandria.
Lines closer than 0.1° are merged.

Atomic structure:
```
Ca2Mg2Al15
1.0
4.7482 2.7414 4.6820
-4.7482 2.7414 4.6820
0.0000 -5.4827 4.6820
Ca Mg Al
2 2 15
direct
0.1481 0.1481 0.1481
0.8519 0.8519 0.8519
0.3968 0.3968 0.3968
0.6032 0.6032 0.6032
0.0000 0.5000 0.5000
0.1482 0.1482 0.6553
0.1482 0.6553 0.1482
0.2051 0.5000 0.7949
0.2051 0.7949 0.5000
0.3447 0.8518 0.8518
0.5000 0.0000 0.5000
0.5000 0.2051 0.7949
0.5000 0.5000 0.0000
0.5000 0.7949 0.2051
0.6553 0.1482 0.1482
0.7949 0.2051 0.5000
0.7949 0.5000 0.2051
0.8518 0.3447 0.8518
0.8518 0.8518 0.3447
```

The 10 most intense peaks (15° ≤ 2θ ≤ 90°), sorted by position:
- 32.67°, rel. 37
- 33.56°, rel. 38
- 37.90°, rel. 65
- 38.04°, rel. 100
- 38.45°, rel. 35
- 38.69°, rel. 19
- 38.82°, rel. 16
- 42.70°, rel. 57
- 68.45°, rel. 22
- 69.28°, rel. 17

Record 2
This entry pairs a crystal structure of Pa3P3N with its theoretical powder XRD pattern. Radiation: Cu Ka. Structure: the PBE geometry in Alexandria.
Lines closer than 0.1° are merged.

Atomic structure:
```
Pa3P3N
1.0
4.6913 2.7085 1.8745
-4.6913 2.7085 1.8745
0.0000 -5.4171 1.8745
Pa P N
3 3 1
direct
0.1992 0.1992 0.6016
0.1992 0.6016 0.1992
0.6016 0.1992 0.1992
0.1083 0.6879 0.6879
0.6879 0.1083 0.6879
0.6879 0.6879 0.1083
0.3066 0.3066 0.3066
```

The 10 most intense peaks (15° ≤ 2θ ≤ 90°), sorted by position:
- 19.19°, rel. 73
- 27.08°, rel. 98
- 33.07°, rel. 100
- 33.24°, rel. 51
- 38.37°, rel. 37
- 38.95°, rel. 72
- 43.64°, rel. 39
- 51.66°, rel. 40
- 59.50°, rel. 42
- 72.69°, rel. 30

Record 3
This entry pairs a crystal structure of CuCSN with its theoretical powder XRD pattern. Radiation: Cu Ka. Structure: the PBE geometry in Alexandria.
Lines closer than 0.1° are merged.

Atomic structure:
```
CuCSN
1.0
3.9878 0.0000 0.0000
-0.1194 4.0747 0.0000
-1.8694 -1.8008 5.1682
Cu C S N
1 1 1 1
direct
0.0000 0.0000 0.0000
0.7290 0.4596 0.4606
0.5825 0.1723 0.1659
0.8339 0.6647 0.6704
```

The 10 most intense peaks (15° ≤ 2θ ≤ 90°), sorted by position:
Qualification | Doctor of Philosophy |
Awarding Institution |
Supervisors/Advisors |
Award date | 15 Sept 2010 |
[Unrelated to this text: crystal structures]
+++
The following is a simulated powder X-ray diffraction pattern of UMnHgO6. It was derived from a DFT-relaxed cell (GGA+U, Alexandria), using Cu Ka.

Atomic structure:
abc: 5.3176 9.5921 5.1943
angles: 90.00 100.01 90.00
Space group C2 (No. 5)
Symmetry-distinct sites (fractional):
U 0.0000 0.0000 0.0000 (multiplicity 2)
Mn 0.0000 0.6616 0.0000 (multiplicity 2)
Hg 0.0000 0.3106 0.5000 (multiplicity 2)
O 0.1675 0.8196 0.2136 (multiplicity 4)
O 0.2059 0.5246 0.2062 (multiplicity 4)
O 0.2314 0.1491 0.2047 (multiplicity 4)

Top 8 peaks for 2θ from 10° to 80°, in order of rising 2θ:
| (hkl) | 2θ/deg | intensity |
| --- | --- | --- |
| 1 1 0 | 19.31 | 35.2 |
| 1 1 -1 | 23.97 | 96.3 |
| 0 2 1 | 25.46 | 100.0 |
| 1 1 1 | 28.01 | 63.4 |
| 1 3 0 | 32.82 | 66.2 |
| 2 2 -1 | 40.50 | 27.8 |
| 1 3 -2 | 46.41 | 26.7 |
| 1 3 2 | 51.11 | 27.4 |


No. 1
LiV2P3O12: theoretical XRD peak list (Cu Kα, 1.54184 Å), based on a cell relaxed with PBE+U.
Kinematic intensities with the Lorentz-polarization factor, no thermal factor.

Principal peaks in the range 2θ = 10–90°, by angle:
hkl 1 0 -1, 2θ 14.5, intensity 85; hkl 1 -1 1, 2θ 14.6, intensity 41; hkl -1 1 1, 2θ 20.0, intensity 75; hkl 0 1 -2, 2θ 20.1, intensity 36; hkl 1 -2 0, 2θ 24.4, intensity 100; hkl 1 -2 2, 2θ 24.5, intensity 93; hkl 1 1 1, 2θ 32.0, intensity 48; hkl 1 -2 3, 2θ 32.2, intensity 41

a b c (Å): 8.339 8.349 8.875
angles (deg): 117.64 90.26 119.90
Space group P-1 (No. 2)
Asymmetric unit:
Li (0.240, 0.060, 0.138) [2 per cell]
V (0.155, 0.303, 0.943) [2 per cell]
V (0.353, 0.718, 0.571) [2 per cell]
P (0.035, 0.785, 0.751) [2 per cell]
P (0.247, 0.781, 0.248) [2 per cell]
P (0.467, 0.499, 0.745) [2 per cell]
O (0.011, 0.974, 0.794) [2 per cell]
O (0.030, 0.763, 0.917) [2 per cell]
O (0.035, 0.710, 0.197) [2 per cell]
O (0.124, 0.423, 0.420) [2 per cell]
O (0.237, 0.845, 0.729) [2 per cell]
O (0.279, 0.611, 0.106) [2 per cell]
O (0.299, 0.808, 0.429) [2 per cell]
O (0.322, 0.345, 0.801) [2 per cell]
O (0.333, 0.313, 0.102) [2 per cell]
O (0.384, 0.001, 0.263) [2 per cell]
O (0.393, 0.623, 0.721) [2 per cell]
O (0.492, 0.362, 0.572) [2 per cell]

No. 2
Li2MnC2O6: theoretical XRD peak list (Cu Kα, 1.54184 Å), based on a cell relaxed with PBE+U.
Kinematic intensities with the Lorentz-polarization factor, no thermal factor.

Principal peaks in the range 2θ = 10–90°, by angle:
hkl 2 2 0, 2θ 18.4, intensity 15; hkl 1 1 1, 2θ 18.8, intensity 100; hkl 1 3 1, 2θ 24.2, intensity 9; hkl 3 1 1, 2θ 28.5, intensity 29; hkl 4 0 0, 2θ 30.2, intensity 16; hkl 4 2 0, 2θ 32.1, intensity 15; hkl 1 5 1, 2θ 32.4, intensity 14; hkl 2 4 2, 2θ 42.7, intensity 18

a b c (Å): 11.844 16.653 5.413
angles (deg): 90.00 90.00 90.00
Space group Fdd2 (No. 43)
Asymmetric unit:
Li (0.027, 0.337, 0.000) [16 per cell]
Mn (0.000, 0.000, 0.954) [8 per cell]
C (0.050, 0.153, 0.028) [16 per cell]
O (0.019, 0.104, 0.202) [16 per cell]
O (0.054, 0.125, 0.803) [16 per cell]
O (0.079, 0.226, 0.079) [16 per cell]

No. 3
+++
[The text goes on]
Publisher | |
Print ISBNs | 978-94-6093-041-6 |
Publication status | Published - 15 Sept 2010 |